********
Record 1
Computed, not measured: C37H53CdN4O2P2 as an isolated structure in a non-equilibrium geometry, with wB97M-V/def2-TZVPD.

Properties
LUMO   -2.9929 eV
ΔE to the lowest compared entry with this formula, charge and spin   11.7 kcal/mol
Charge   +1
Kohn-Sham gap   0.1994 Ha

The geometry in XYZ format:
```
99
Properties=species:S:1:pos:R:3:lowdin_charge:R:1
C -1.29 -1.25 -2.10 -0.3929
C 0.79 -2.12 -1.37 -0.3962
C -1.41 -2.24 -3.07 -0.0726
C 0.60 -3.24 -2.22 -0.0493
C -0.48 -3.29 -3.07 -0.0737
H -2.25 -2.21 -3.76 0.1041
H 1.36 -4.02 -2.18 0.1104
H -0.61 -4.13 -3.76 0.1108
N -0.25 -1.23 -1.26 -0.0340
P -2.53 0.30 -0.15 1.0526
P 2.63 -0.43 0.07 0.9806
C -2.33 -0.14 -1.94 -0.2665
H -1.97 0.76 -2.47 0.0651
H -3.28 -0.41 -2.41 0.0813
C 0.92 2.29 1.77 -0.0654
O 1.10 3.33 2.19 0.0974
C 2.02 -1.88 -0.71 -0.3525
H 2.73 -2.72 -0.77 0.0559
C 3.76 0.27 -1.37 -0.6570
C 3.73 -0.98 1.57 -0.6805
C -3.32 2.02 -0.07 -0.7038
C -3.67 -1.10 0.45 -0.6729
C 3.90 1.78 -1.12 -0.1099
H 4.44 1.98 -0.18 0.0665
H 4.48 2.23 -1.94 0.0889
H 2.93 2.28 -1.06 0.0396
C 5.14 -0.41 -1.42 -0.1018
H 5.76 -0.20 -0.54 0.0637
H 5.04 -1.49 -1.56 0.0837
H 5.68 -0.01 -2.29 0.0944
C 3.11 -0.03 -2.73 -0.1056
H 3.65 0.51 -3.52 0.0954
H 3.15 -1.10 -2.96 0.0868
H 2.06 0.28 -2.77 0.0272
C 4.54 0.24 2.05 -0.1018
H 3.90 1.11 2.24 0.0684
H 5.04 -0.02 3.00 0.0897
H 5.33 0.54 1.34 0.0635
C 2.83 -1.44 2.72 -0.1251
H 2.10 -0.67 3.03 0.0513
H 2.27 -2.36 2.48 0.0690
H 3.47 -1.66 3.60 0.0934
C 4.66 -2.16 1.25 -0.0975
H 5.39 -1.95 0.46 0.0544
H 5.23 -2.39 2.16 0.0924
H 4.09 -3.06 0.98 0.0772
C -4.13 -0.77 1.88 -0.0887
H -4.73 -1.62 2.25 0.0959
H -3.28 -0.64 2.56 0.0631
H -4.78 0.11 1.92 0.0676
C -2.89 -2.42 0.48 -0.0838
H -2.60 -2.75 -0.52 0.0791
H -1.99 -2.37 1.11 0.0374
H -3.55 -3.20 0.91 0.1000
C -4.87 -1.30 -0.48 -0.0842
H -5.49 -2.11 -0.06 0.0978
H -5.51 -0.42 -0.57 0.0591
H -4.56 -1.62 -1.48 0.0768
C -2.57 2.98 -1.02 -0.1096
H -2.66 2.67 -2.07 0.0768
H -3.02 3.98 -0.92 0.0971
H -1.50 3.06 -0.77 0.0458
C -3.20 2.56 1.37 -0.0986
H -2.15 2.72 1.66 0.0544
H -3.72 3.53 1.42 0.0966
H -3.66 1.89 2.11 0.0642
C -4.79 1.97 -0.49 -0.0963
H -4.92 1.53 -1.49 0.0879
H -5.41 1.43 0.24 0.0713
H -5.16 3.00 -0.53 0.0938
Cd 0.04 0.27 0.50 1.1243
N 0.47 1.67 -1.25 0.0974
C 0.70 1.94 -2.38 -0.1421
C 0.81 2.70 -3.59 -0.2062
C 0.60 4.10 -3.51 -0.0165
C 1.10 2.10 -4.84 -0.0166
C 0.69 4.88 -4.67 -0.0582
H 0.37 4.57 -2.55 0.1225
C 1.19 2.90 -5.98 -0.0546
H 1.23 1.02 -4.90 0.1198
C 1.00 4.28 -5.89 -0.0531
H 0.51 5.96 -4.61 0.1173
H 1.41 2.44 -6.95 0.1165
H 1.09 4.89 -6.79 0.1145
N -1.31 -3.41 6.78 0.1748
C -1.43 -2.06 6.55 -0.4709
O -1.82 -1.28 7.41 0.0746
C -1.09 -1.61 5.17 -0.0990
C -0.77 -2.47 4.11 0.0171
C -0.43 -1.94 2.87 -0.1585
N -0.46 -0.60 2.61 -0.0505
C -0.80 0.24 3.62 -0.1426
C -1.11 -0.23 4.89 0.0251
H -1.44 -3.71 7.74 0.1199
H -0.81 -4.03 6.17 0.0908
H -0.77 -3.56 4.22 0.1187
H -0.12 -2.61 2.06 0.1152
H -0.82 1.31 3.40 0.0815
H -1.37 0.50 5.66 0.1307
```

***

Record 2
Computed, not measured: C37H53MgN4O2P2 as an isolated structure in a non-equilibrium geometry, with wB97M-V/def2-TZVPD.

Properties
LUMO   -3.0513 eV
ΔE to the lowest compared entry with this formula, charge and spin   18.6 kcal/mol
Charge   +1
Kohn-Sham gap   0.2365 Ha

The geometry in XYZ format:
```
99
Properties=species:S:1:pos:R:3:lowdin_charge:R:1
C 1.93 -1.85 -1.65 -0.3105
C 1.52 0.25 -2.67 -0.2789
C 2.76 -2.23 -2.71 -0.0058
C 2.33 -0.09 -3.76 -0.0037
C 2.97 -1.33 -3.77 -0.0221
H 3.22 -3.22 -2.71 0.1207
H 2.45 0.62 -4.59 0.1205
H 3.62 -1.61 -4.61 0.1206
N 1.36 -0.61 -1.62 0.0293
P -0.20 -2.41 0.06 1.1200
P 0.59 2.19 -0.86 1.1704
C 1.55 -2.80 -0.54 -0.2205
H 1.70 -3.85 -0.85 0.0940
H 2.18 -2.61 0.35 0.0828
C 0.65 1.47 -2.62 -0.2854
H 0.93 2.19 -3.40 0.1052
C -0.72 3.61 -0.98 -0.6187
C 2.32 2.94 -0.56 -0.6463
C -1.38 -3.22 -1.21 -0.6324
C -0.31 -3.36 1.72 -0.6459
C -2.02 3.18 -0.26 -0.1002
H -1.91 3.24 0.83 0.0702
H -2.82 3.87 -0.57 0.0994
H -2.32 2.15 -0.50 0.0493
C -0.21 4.87 -0.24 -0.0920
H -0.08 4.67 0.84 0.0787
********
Your job: repeat all of the contents further above exactly.
Record 1
Computed, not measured: C37H53CdN4O2P2 as an isolated structure in a non-equilibrium geometry, with wB97M-V/def2-TZVPD.

Properties
LUMO   -2.9929 eV
ΔE to the lowest compared entry with this formula, charge and spin   11.7 kcal/mol
Charge   +1
Kohn-Sham gap   0.1994 Ha

The geometry in XYZ format:
```
99
Properties=species:S:1:pos:R:3:lowdin_charge:R:1
C -1.29 -1.25 -2.10 -0.3929
C 0.79 -2.12 -1.37 -0.3962
C -1.41 -2.24 -3.07 -0.0726
C 0.60 -3.24 -2.22 -0.0493
C -0.48 -3.29 -3.07 -0.0737
H -2.25 -2.21 -3.76 0.1041
H 1.36 -4.02 -2.18 0.1104
H -0.61 -4.13 -3.76 0.1108
N -0.25 -1.23 -1.26 -0.0340
P -2.53 0.30 -0.15 1.0526
P 2.63 -0.43 0.07 0.9806
C -2.33 -0.14 -1.94 -0.2665
H -1.97 0.76 -2.47 0.0651
H -3.28 -0.41 -2.41 0.0813
C 0.92 2.29 1.77 -0.0654
O 1.10 3.33 2.19 0.0974
C 2.02 -1.88 -0.71 -0.3525
H 2.73 -2.72 -0.77 0.0559
C 3.76 0.27 -1.37 -0.6570
C 3.73 -0.98 1.57 -0.6805
C -3.32 2.02 -0.07 -0.7038
C -3.67 -1.10 0.45 -0.6729
C 3.90 1.78 -1.12 -0.1099
H 4.44 1.98 -0.18 0.0665
H 4.48 2.23 -1.94 0.0889
H 2.93 2.28 -1.06 0.0396
C 5.14 -0.41 -1.42 -0.1018
H 5.76 -0.20 -0.54 0.0637
H 5.04 -1.49 -1.56 0.0837
H 5.68 -0.01 -2.29 0.0944
C 3.11 -0.03 -2.73 -0.1056
H 3.65 0.51 -3.52 0.0954
H 3.15 -1.10 -2.96 0.0868
H 2.06 0.28 -2.77 0.0272
C 4.54 0.24 2.05 -0.1018
H 3.90 1.11 2.24 0.0684
H 5.04 -0.02 3.00 0.0897
H 5.33 0.54 1.34 0.0635
C 2.83 -1.44 2.72 -0.1251
H 2.10 -0.67 3.03 0.0513
H 2.27 -2.36 2.48 0.0690
H 3.47 -1.66 3.60 0.0934
C 4.66 -2.16 1.25 -0.0975
H 5.39 -1.95 0.46 0.0544
H 5.23 -2.39 2.16 0.0924
H 4.09 -3.06 0.98 0.0772
C -4.13 -0.77 1.88 -0.0887
H -4.73 -1.62 2.25 0.0959
H -3.28 -0.64 2.56 0.0631
H -4.78 0.11 1.92 0.0676
C -2.89 -2.42 0.48 -0.0838
H -2.60 -2.75 -0.52 0.0791
H -1.99 -2.37 1.11 0.0374
H -3.55 -3.20 0.91 0.1000
C -4.87 -1.30 -0.48 -0.0842
H -5.49 -2.11 -0.06 0.0978
H -5.51 -0.42 -0.57 0.0591
H -4.56 -1.62 -1.48 0.0768
C -2.57 2.98 -1.02 -0.1096
H -2.66 2.67 -2.07 0.0768
H -3.02 3.98 -0.92 0.0971
H -1.50 3.06 -0.77 0.0458
C -3.20 2.56 1.37 -0.0986
H -2.15 2.72 1.66 0.0544
H -3.72 3.53 1.42 0.0966
H -3.66 1.89 2.11 0.0642
C -4.79 1.97 -0.49 -0.0963
H -4.92 1.53 -1.49 0.0879
H -5.41 1.43 0.24 0.0713
H -5.16 3.00 -0.53 0.0938
Cd 0.04 0.27 0.50 1.1243
N 0.47 1.67 -1.25 0.0974
C 0.70 1.94 -2.38 -0.1421
C 0.81 2.70 -3.59 -0.2062
C 0.60 4.10 -3.51 -0.0165
C 1.10 2.10 -4.84 -0.0166
C 0.69 4.88 -4.67 -0.0582
H 0.37 4.57 -2.55 0.1225
C 1.19 2.90 -5.98 -0.0546
H 1.23 1.02 -4.90 0.1198
C 1.00 4.28 -5.89 -0.0531
H 0.51 5.96 -4.61 0.1173
H 1.41 2.44 -6.95 0.1165
H 1.09 4.89 -6.79 0.1145
N -1.31 -3.41 6.78 0.1748
C -1.43 -2.06 6.55 -0.4709
O -1.82 -1.28 7.41 0.0746
C -1.09 -1.61 5.17 -0.0990
C -0.77 -2.47 4.11 0.0171
C -0.43 -1.94 2.87 -0.1585
N -0.46 -0.60 2.61 -0.0505
C -0.80 0.24 3.62 -0.1426
C -1.11 -0.23 4.89 0.0251
H -1.44 -3.71 7.74 0.1199
H -0.81 -4.03 6.17 0.0908
H -0.77 -3.56 4.22 0.1187
H -0.12 -2.61 2.06 0.1152
H -0.82 1.31 3.40 0.0815
H -1.37 0.50 5.66 0.1307
```

***

Record 2
Computed, not measured: C37H53MgN4O2P2 as an isolated structure in a non-equilibrium geometry, with wB97M-V/def2-TZVPD.

Properties
LUMO   -3.0513 eV
ΔE to the lowest compared entry with this formula, charge and spin   18.6 kcal/mol
Charge   +1
Kohn-Sham gap   0.2365 Ha

The geometry in XYZ format:
```
99
Properties=species:S:1:pos:R:3:lowdin_charge:R:1
C 1.93 -1.85 -1.65 -0.3105
C 1.52 0.25 -2.67 -0.2789
C 2.76 -2.23 -2.71 -0.0058
C 2.33 -0.09 -3.76 -0.0037
C 2.97 -1.33 -3.77 -0.0221
H 3.22 -3.22 -2.71 0.1207
H 2.45 0.62 -4.59 0.1205
H 3.62 -1.61 -4.61 0.1206
N 1.36 -0.61 -1.62 0.0293
P -0.20 -2.41 0.06 1.1200
P 0.59 2.19 -0.86 1.1704
C 1.55 -2.80 -0.54 -0.2205
H 1.70 -3.85 -0.85 0.0940
H 2.18 -2.61 0.35 0.0828
C 0.65 1.47 -2.62 -0.2854
H 0.93 2.19 -3.40 0.1052
C -0.72 3.61 -0.98 -0.6187
C 2.32 2.94 -0.56 -0.6463
C -1.38 -3.22 -1.21 -0.6324
C -0.31 -3.36 1.72 -0.6459
C -2.02 3.18 -0.26 -0.1002
H -1.91 3.24 0.83 0.0702
H -2.82 3.87 -0.57 0.0994
H -2.32 2.15 -0.50 0.0493
C -0.21 4.87 -0.24 -0.0920
H -0.08 4.67 0.84 0.0787